All Saints School’s Curriculum
This document is a statement of the values and aims used for the development of the curriculum undertaken at All Saints C.E. Primary School. This takes into account diversity and provides equality of opportunities for all within a changing educational landscape and our Modern British Society.
Our curriculum is underpinned by the words of Jesus who said to His disciples ... - Matthew 17:20
If you have faith as small as a mustard seed you can say to this mountain move from here to there and it will move. Nothing will be impossible for you.
“Together we Aspire, Believe, Explore, Achieve”
At All Saints School, our broad and balanced curriculum is designed to: recognise children’s prior learning, provide engaging first hand learning experiences, encourage the children to develop interpersonal skills, build resilience, develop reasoning skills and become creative, critical thinkers. We also provide children with the opportunities to grow and develop their confidence, self-esteem and well-being.
Every child is recognised as a unique individual. We celebrate and welcome differences within our school community. Our carefully chosen termly projects, engage the children and spark curiosity, develop skills and knowledge and provide enrichment opportunities and innovate challenges to apply their learning. We believe that childhood should be a happy, investigative and enquiring time in our lives where there are no limits to curiosity and there is a thirst for new experiences and knowledge. We use the “Characteristics of Effective Learning” and the 5 R’s to promote positive attitudes to learning which reflect the values and skills needed to promote responsibility for learning and future success. We value and celebrate mistakes as part of learning and the use of a Growth Mindset and the word ‘yet’ is ingrained in learning to inspire ambition.
Our curriculum is personalised to us. Our local environment and community involvement is an essential part of our curriculum. As a school we celebrate local traditions and make the most of the learning opportunities in our locality. We also teach new skills to enable the children to take an active role in events throughout the year. Children leave All Saints with a sense of belonging to a tightly knit community where they have the confidence and skills to make decisions, self-evaluate, make connections and become lifelong learners.
High quality texts form the core of our English curriculum and create meaningful links to the wider curriculum by providing our children with opportunities to read and write across a range of contexts and purposes and in response to a variety of exciting first hand experiences.
<<<
(1)
Entry from the Open Molecules 2025 dataset: 7 unconnected molecules or ions with the total composition C14H28Cl14 in a non-equilibrium geometry (wB97M-V/def2-TZVPD).

The calculation puts the HOMO energy at -10.6 eV. Its spin multiplicity is 1. Its total energy is -190287.7483 eV. The value obtained for the gap between HOMO and LUMO is 10.91 eV. The value obtained for the energy relative to the best compared isomer or geometry (same formula, charge and spin) is 45.76 kJ/mol. The SMILES is ClCCCl.ClCCCl.ClCCCl.ClCCCl.ClCCCl.ClCCCl.ClCCCl. The total charge is 0.

XYZ file:
```
56
Properties=species:S:1:pos:R:3:forces:R:3
Cl 20.206485 7.011547 -8.746140 0.1 0.1 -0.2
C 20.643824 7.312767 -10.465401 0.0 -0.3 0.0
C 19.395617 7.125408 -11.298116 -0.5 0.7 0.3
Cl 19.678483 7.650845 -12.981607 0.1 -0.4 0.0
H 21.451376 6.628769 -10.711869 -0.1 -0.1 -0.1
H 21.010312 8.330631 -10.566539 -0.1 0.1 0.1
H 18.649179 7.816268 -10.908973 0.0 0.0 0.0
H 18.948502 6.136650 -11.273824 0.4 -0.2 -0.1
Cl 13.902675 8.459823 -11.006518 0.1 0.6 -0.3
C 14.412728 9.994923 -11.825112 0.0 -0.3 -0.2
C 15.481770 10.705723 -11.009352 -0.5 0.1 -0.9
Cl 16.109186 12.013041 -12.054665 0.2 0.3 -0.4
H 13.543653 10.622139 -12.011289 -0.1 0.0 0.4
H 14.785389 9.749165 -12.817427 0.2 -0.3 0.2
H 16.349975 10.081613 -10.838931 -0.2 -0.1 0.6
H 15.044616 11.230260 -10.167762 0.3 -0.4 0.4
Cl 23.670523 12.361570 -7.187611 0.0 0.1 -0.1
C 22.771831 11.206747 -6.172185 -0.1 -0.2 0.2
C 21.873044 10.327243 -7.022275 0.4 0.3 -0.4
Cl 20.909961 9.298233 -5.916695 0.2 0.1 -0.4
H 22.194587 11.761507 -5.437640 0.0 0.1 -0.1
H 23.513648 10.610925 -5.647333 0.0 0.0 0.0
H 22.476295 9.736584 -7.711869 0.0 -0.4 0.4
H 21.233538 10.908209 -7.684338 -0.3 0.0 0.5
Cl 20.783298 10.708508 -13.791102 0.5 0.0 0.2
C 19.548291 11.089328 -14.973231 -0.9 0.9 -0.3
C 20.171595 11.520528 -16.285030 0.3 -0.9 -0.2
Cl 18.895592 11.945391 -17.430442 -0.4 0.3 -0.2
H 18.950825 11.933875 -14.619983 0.2 0.0 0.3
H 18.835685 10.272328 -15.067013 0.3 -0.3 -0.2
H 20.696343 10.699267 -16.770589 0.2 0.0 0.2
H 20.855429 12.355029 -16.161052 -0.1 0.1 0.0
Cl 17.932735 18.609595 -9.499047 -0.1 0.0 -0.2
C 19.034318 17.236828 -9.777834 -0.2 -0.3 0.0
C 20.197520 17.287418 -8.812089 0.2 -0.5 -0.4
Cl 21.243417 18.656051 -9.176287 0.3 0.7 0.0
H 19.350482 17.229794 -10.819620 0.2 0.4 0.1
H 18.425612 16.339737 -9.671999 0.1 0.0 0.4
H 20.867467 16.439062 -8.952363 -0.4 -0.3 0.1
H 19.881115 17.343114 -7.774867 -0.1 0.0 0.0
Cl 20.639510 13.276517 -8.741005 -0.3 0.2 0.1
C 19.362670 13.316597 -9.982663 -0.3 0.1 -1.0
C 19.534130 12.117764 -10.924907 0.1 0.4 1.3
Cl 19.066240 10.647406 -9.981755 0.2 0.0 -0.4
H 19.476162 14.249143 -10.536325 0.3 -0.1 -0.1
H 18.359525 13.382241 -9.566328 0.1 -0.4 0.4
H 20.592324 12.054349 -11.153830 0.0 -0.3 -0.2
H 18.929033 12.147042 -11.822704 -0.1 0.1 0.1
Cl 13.127670 13.404576 -10.010250 -0.1 0.3 0.1
C 13.341173 15.106405 -10.534553 0.1 0.0 0.0
C 14.534141 15.260703 -11.444608 -0.1 0.9 0.2
>>>
The page goes on:
Every element of our curriculum has been carefully considered, to be ambitious; from when the children start in our Nursery up to when they leave at the end of Year 6 in the form of projects. The skills needed for each subject area and the knowledge that is linked to those skills is planned to ensure progression and depth of understanding. For example, in the Foundation Stage the children begin to learn about plants as part of the Knowledge and Understanding strand of the EYFS framework where the children learn that different living things grow and die through the planting of seeds and flowers. Then in Year 1, children learn about the basic structure of a variety of common flowering plants and trees and identify features such as the leaves, flowers, petals, seeds, roots and stem. This is then developed upon in Year 2 when the children investigate the conditions which effect the growth of a healthy plant. Throughout Key Stage 2, children will have the opportunity to plant their own plants in the school allotment and observe the key stages of growth. They will also continue to develop a greater understanding of plants when learning about germination and pollination.
Children in our school experience a well-rounded curriculum, where they are exposed to a broad and ambitious range of subjects, knowledge, opportunities and experiences in order to prepare them for their life’s journey. All Saints School engages all learning styles using a variety of resources including Early Years Outcomes, National Curriculum Statutory Guidance, Mastery, Values Based Learning, Outdoor Learning, including challenge based activities and enhancement opportunities which support teaching of the curriculum. Fundamental British Values and a Christian ethos are interwoven throughout the curriculum.
Learning Research
All Saints School has recognised the use of clear, focused and purposeful learning intentions and success criteria as an effective tool in gaining intended learning outcomes. Staff use effective questioning techniques to develop higher order thinking skills and reasoning. Children and staff are encouraged to hold a growth mind-set and value 'marvellous mistakes’ as part of the learning journey. In lessons, we provide opportunities for enquiry, recall and application alongside research based projects and hands-on learning which is enhanced through workshops and educational visits.
Our Curriculum
The Nursery and Reception children follow the Foundation Stage Curriculum, providing purposeful play and exploratory activity both indoors and outdoors.
To find out more about the Early Years Education click here.
We follow the 2014 National Curriculum in Key Stage One and Key Stage Two. For full details of the National Curriculum can be found here click here
The subjects included in the National Curriculum for Key Stage One and Two are:
- English
- Mathematics
- Science
- Religious Education (RE)
- Computing (ICT)
- Design and Technology (DT
- History
- Geography
- Art and Design
- Music
- Physical Education
- Foreign Languages (KS2)
Pupils Foundation Stage Key Stage 1 Key Stage 2 |
Ages 3 - 5 6 - 7 7 - 11 |
Year Groups Nursery & Foundation 1 and 2 3 to 6 |
In KS1 we follow the Letters and Sounds phonics programme and we use the Oxford Reading Tree scheme to support individual reading and for some guided group sessions.
For more information about our Curriculum, please click the relevant tab.
Parent Workshops
We held two meetings for parents to come along and learn how we teach Maths and Writing. Please see below for the presentations for those evenings.